Omg what an amazing time! It was soooo mush fun!
While we weren't first timers at dog sledding, this was definitely an adventure unlike our past experience; which was still fun without a doubt & the reason why we were looking so forward to doing it again!
Once we were all bundled up and given brief instructions, we were then escorted out to the masses of hyper barking sled dogs rearing and ready to hit the trails!
And we were off!!
[1]
Structure and simulated powder XRD pattern of Mg3SnI8 (DFT lattice parameters and positions (PBE); λ = 1.5418 Å (Cu Kα)).
Kinematic intensities with the Lorentz-polarization factor, no thermal factor.

Main lines, sorted by position (10 to 90 degrees two-theta):
11.5°, I 448; 23.1°, I 343; 24.9°, I 315; 25.1°, I 634; 28.3°, I 1000; 28.7°, I 498; 39.6°, I 357; 41.8°, I 348

Atomic structure:
```
Mg3SnI8
1.0
7.4799 -4.3203 0.0000
7.4799 4.3203 0.0000
-5.1271 0.0000 7.6927
Mg Sn I
3 1 8
direct
0.0000 0.0000 0.0000
0.0000 0.5000 0.0000
0.5000 0.0000 0.0000
0.5000 0.5000 0.0000
0.2225 0.7537 0.2237
0.2402 0.2402 0.2147
0.2462 0.2462 0.7763
0.2463 0.7775 0.7763
0.7537 0.2225 0.2237
0.7538 0.7538 0.2237
0.7598 0.7598 0.7853
0.7775 0.2463 0.7763
```

[2]
Structure and simulated powder XRD pattern of AcPm9Al2 (DFT lattice parameters and positions (PBE); λ = 1.5418 Å (Cu Kα)).
Kinematic intensities with the Lorentz-polarization factor, no thermal factor.

Main lines, sorted by position (10 to 90 degrees two-theta):
31.0°, I 1000; 35.2°, I 151; 36.2°, I 346; 51.4°, I 207; 52.2°, I 122; 60.6°, I 103; 61.9°, I 278; 64.5°, I 105

Atomic structure:
```
AcPm9Al2
1.0
4.9607 0.0000 0.0000
0.0000 4.9607 0.0000
0.0000 0.0000 15.2829
Ac Pm Al
1 9 2
direct
0.0000 0.0000 0.0000
0.0000 0.5000 0.1844
0.0000 0.5000 0.5000
0.0000 0.5000 0.8156
0.5000 0.0000 0.1844
0.5000 0.0000 0.5000
0.5000 0.0000 0.8156
0.5000 0.5000 0.0000
0.5000 0.5000 0.3452
0.5000 0.5000 0.6548
0.0000 0.0000 0.3410
0.0000 0.0000 0.6590
```
Back to the page:
Mush mush, up up up up up is what we yelled! Leaning into the turns, helping push the sleds up the hills, and riding, laughing, and being scared the rest of the time!
Round the turns and over bumps as Cosette yelled in fright.
She couldn't wait to be in the drivers seat!
Everything was going well, aside from our 4 dogs not being all that fast.
So Tanya had added another dog to our sled (little did we know that it was a female in heat).
Now definitely going faster, and with me not being quite familiar with the extra dog-power, going around the bends, and still terrifying Cosette.
Lean lean lean into the turns. Ut oh, there's a sharp turn ahead! And CRASH!!!
I was wondering how I wound up where I was, and I could hear Tanya calling out for us in concern that we were not hurt.
I had completely smashed through the steering bar/handles of the sled, and in the process my camera had snapped at the cord and ended up in the snow about 50 ft behind where I was now at...
Luckily Dominic had spotted it and picked it up for me, as I was in a bit of a haze!
The reason I wasn't still at the scene of the accident was because these darn active dogs just do not stop!
As I was hunched over the rail and Cosette was flung forward in her seat these dogs kept on pulling their sled...
As soon as I realized that we were in motion, I knew that I had to stand up and stop the sled, putting the brakes on!
Off we went again! Cosette still complaining that she should be driving!
Eventually we stopped to switch drivers and Cosette was at our helm, Dominic at the other.
Shortly after around a few twists and turns on this rollar coaster of a ride, we come to a stop when Tanya realized that Dominic wasn't following close behind.
While Cosette and I were waiting, we came to find out that one of the dogs on our sled was in heat and ALL the boys wanted her!
Holy Crappies, things got crazy, dogs humping, us cracking up laughing, other dogs getting all aggressive, and no guide to aide in this "situation"! What could we do?!
Eventually Tanya and the boys, arrived back to us...I guess Dominic thought that he lost his hat and sent Dave on a wild goose chase back down the trail in search for it (it was caught in his hood the entire while)!

Onward, let's get these dogs moving and off of each other. Ugh - what a tangled mess!
As we continued in the fun adventure of dog sledding there were at least 2 other times when the boys weren't behind us!
And the story was that with Dominic at the helm...
He fell off twice and straight face planted into the snow!
One of those times, as the sled continued in motion (because almost nothing stops these sled dogs) Dave who was the passenger had asked back if Dominic was ok, only to get no reply and to look behind and see that he had no driver!!
Dominic was laid flat in the snow way behind them off to the side of the trail! He was full of snow, but perfectly fine.
Overall, we had a few accidents, although no one was hurt (aside from the monster black and blue that I have not discover on my leg), and we had an adventure of a lifetime.
We are definitely coming back here on our next visit to Quebec! Hopefully they'll have us back!!